A Quantum Revolution. In this digital age, where innovation knows no bounds, Quantum (Q) phones are poised to take center stage. These cutting-edge devices come preloaded with a Stellar wallet, the gateway to unlocking the treasures of the Global Economic Security and Reformation Act (GESARA), including the Universal Basic Income (UBI) distribution. Stellar, the blockchain-based digital currency, is set to revolutionize the way we transact. But how do Quantum phones and Stellar come together in this cosmic dance of technology?
The Star Link Connection: Quantum Internet and QFS. Enter Star Link, the brainchild of the United States Air Force, World Military Alliance, and the Galactic Federation. This constellation of satellites doesn’t just provide global internet access at optical speeds; it also plays a pivotal role in the Quantum Financial System (QFS). Star Link’s satellites form the backbone of QFS, ensuring secure and lightning-fast financial transactions on the blockchain.
Misplaced materials data.
+++
Calculated powder diffractogram of Pm3PaO7 for Cu Kα (λ = 1.5418 Å), from DFT lattice parameters and positions (GGA-PBE).
Lines closer than 0.1° are merged.

a b c (Å): 6.7906 6.7906 7.9115
angles (deg): 90.00 90.00 109.81
Fractional coordinates of all 22 atoms:
Pm  0.0006  0.0006  0.0000
Pm  0.0314  0.5044  0.2502
Pm  0.4956  0.9686  0.2498
Pm  0.5044  0.0314  0.7498
Pm  0.9686  0.4956  0.7502
Pm  0.9994  0.9994  0.5000
Pa  0.4999  0.4999  0.0000
Pa  0.5001  0.5001  0.5000
O  0.1334  0.8666  0.2500
O  0.1326  0.8674  0.7500
O  0.1671  0.4154  0.9707
O  0.1677  0.4163  0.5298
O  0.4084  0.5916  0.2500
O  0.4154  0.1671  0.0293
O  0.4163  0.1677  0.4702
O  0.5837  0.8323  0.9702
O  0.5846  0.8329  0.5293
O  0.5916  0.4084  0.7500
O  0.8323  0.5837  0.0298
O  0.8329  0.5846  0.4707
O  0.8674  0.1326  0.2500
O  0.8666  0.1334  0.7500

The 10 most intense peaks (10° ≤ 2θ ≤ 80°), by angle:
Position (°2θ)	d_spacing	I_rel
27.68	3.222	100
27.93	3.194	97
32.22	2.778	70
45.88	1.978	17
46.21	1.965	62
46.52	1.952	14
54.57	1.682	31
54.73	1.677	14
55.00	1.670	28
76.70	1.243	16

~~~~~

K3Np3Si2O13: simulated powder X-ray diffraction pattern (copper Kα), based on the PBE geometry in Alexandria.
No peak broadening, texture or thermal motion is included.

Structural model:
```
data_K3Np3Si2O13
_chemical_formula_sum 'K3 Np3 Si2 O13'
_space_group_name_H-M_alt 'P 3'
_space_group_IT_number 143
_cell_length_a 9.7954
_cell_length_b 9.7954
_cell_length_c 3.9589
_cell_angle_alpha 90.00
_cell_angle_beta 90.00
_cell_angle_gamma 120.00
loop_
_space_group_symop_operation_xyz
'x,y,z'
'-y,x-y,z'
'-x+y,-x,z'
loop_
_atom_site_label
_atom_site_type_symbol
_atom_site_fract_x
_atom_site_fract_y
_atom_site_fract_z
K1 K 0.0054 0.7798 0.0000
Np1 Np 0.4223 0.0199 0.4978
Si1 Si 0.3333 0.6667 0.9996
Si2 Si 0.6667 0.3333 0.9380
O1 O 0.0093 0.6043 0.4999
O2 O 0.1746 0.4988 0.0004
O3 O 0.2311 0.0214 0.4981
O4 O 0.4978 0.1662 0.0035
O5 O 0.6667 0.3333 0.5147
```

Principal peaks in the range 5 to 70 degrees two-theta, by angle:
2θ/deg, d [Å], I_rel, hkl
10.4, 8.483, 50, 1 0 0
18.1, 4.898, 95, 1 1 0
20.9, 4.242, 42, 2 0 0
27.8, 3.206, 60, 1 2 0
29.0, 3.079, 100, 1 1 1
30.9, 2.894, 63, 0 2 1
+++
Quantum Star Link Internet: Healing Minds and Breaking Barriers. Imagine an internet free from censorship, corruption, and the shackles of traditional gatekeepers. Quantum Star Link Internet makes this a reality. With its quantum technology, it not only connects people globally but also holds the power to heal the human mind. The future of mental well-being might just be one Star Link connection away.
Project Odin + Star Link + Space Star Network: The Trifecta of Connectivity. The integration of Project Odin, Star Link, and the Space Star Network promises an open-source revolution in the world of financial transactions. This decentralized network, operating on the Stellar Blockchain, empowers individuals to store and move funds seamlessly. The implications are staggering: a world where financial freedom is truly at your fingertips.
STELLAR Network (XLM): The Sentinel of Surveillance. STELLAR Network (XLM) emerges as the guardian of transparency and surveillance, ensuring that financial transactions remain secure and accountable. In a world where trust is paramount, Stellar’s decentralized structure offers the promise of a fair and equitable financial landscape.
The Coming Financial Shift: Stellar’s Role in Asset Protection. As global financial systems teeter on the edge, the importance of asset protection cannot be overstated. Stellar emerges as a sanctuary, where assets are shielded from the chaos of market crashes. Over 600,000 assets and funds are poised to find their refuge in these crypto currencies, safeguarding humanity’s financial future.